Brief =
Say how many lines of the block further below hold the word "per", as a bare number.

Source =
=====
Entry 1:
Calculated X-ray powder pattern
Compound: Re5Ir
Radiation: Cu Kα
Structure: a DFT-relaxed cell (GGA-PBE, Alexandria)
No peak broadening, texture or thermal motion is included.

Largest 8 diffraction maxima, by intensity, 15 to 90 degrees two-theta:
Position (°2θ), intensity
42.72, 100.0
40.75, 25.4
37.32, 24.2
81.76, 20.8
75.54, 19.0
67.31, 17.6
83.09, 15.1
56.44, 14.9

Structure:
```
Re5Ir
1.0
4.819 0.000 0.000
-2.409 4.173 0.000
0.000 0.000 4.428
Re Ir
5 1
direct
0.000 0.666 0.000 Re
0.333 0.667 0.500 Re
0.334 0.334 0.000 Re
0.666 0.000 0.000 Re
0.667 0.333 0.500 Re
0.000 0.000 0.500 Ir
```

=====

Entry 2:
Calculated X-ray powder pattern
Compound: ReIr2Rh
Radiation: Cu Kα
Structure: a DFT-relaxed cell (GGA-PBE, Alexandria)
No peak broadening, texture or thermal motion is included.

Largest 8 diffraction maxima, by intensity, 15 to 90 degrees two-theta:
Position (°2θ), intensity
40.31, 100.0
40.43, 99.2
47.02, 64.7
68.55, 52.8
46.85, 32.7
82.55, 25.7
82.69, 25.6
82.91, 25.5

Structure:
```
ReIr2Rh
1.0
2.739 -3.879 0.000
2.739 3.879 0.000
0.000 0.000 2.728
Re Ir Rh
1 2 1
direct
0.000 0.000 0.000 Re
0.000 0.500 0.500 Ir
0.500 0.000 0.500 Ir
0.500 0.500 0.000 Rh
```

=====

Entry 3:
Calculated X-ray powder pattern
Compound: ReIr2Rh
Radiation: Cu Kα
Structure: a DFT-relaxed cell (GGA-PBE, Alexandria)
No peak broadening, texture or thermal motion is included.

Largest 8 diffraction maxima, by intensity, 15 to 90 degrees two-theta:
Position (°2θ), intensity
40.32, 100.0
46.90, 48.8
82.58, 38.3
68.49, 31.6
87.14, 11.4
48.43, 2.8
22.96, 1.8
34.73, 1.7

Structure:
```
ReIr2Rh
1.0
2.740 0.000 0.000
0.000 2.740 0.000
0.000 0.000 7.747
Re Ir Rh
1 2 1
direct
0.000 0.000 0.000 Re
0.500 0.500 0.245 Ir
0.500 0.500 0.755 Ir
0.000 0.000 0.500 Rh
```

=====

Entry 4:
Calculated X-ray powder pattern
Compound: Re2Ir3Rh8
Radiation: Cu Kα
Structure: a DFT-relaxed cell (GGA-PBE, Alexandria)
No peak broadening, texture or thermal motion is included.

Largest 8 diffraction maxima, by intensity, 15 to 90 degrees two-theta:
Position (°2θ), intensity
42.63, 100.0
40.72, 38.9
28.16, 28.5
50.22, 25.9
42.34, 22.8
75.43, 18.5
24.35, 13.9
66.54, 12.2

Structure:
```
Re2Ir3Rh8
1.0
3.635 -6.464 0.000
3.635 6.464 0.000
0.000 0.000 4.431
Re Ir Rh
2 3 8
direct
0.219 0.781 0.000 Re
0.781 0.219 0.000 Re
0.000 0.000 0.000 Ir
0.259 0.259 0.500 Ir
0.741 0.741 0.500 Ir
0.137 0.863 0.500 Rh
0.185 0.420 0.000 Rh
0.350 0.650 0.500 Rh
0.420 0.185 0.000 Rh
0.580 0.815 0.000 Rh
0.650 0.350 0.500 Rh
0.815 0.580 0.000 Rh
0.863 0.137 0.500 Rh
```

----------

# 1
The following is a theoretical PXRD pattern of Ca2FeAs2F. It was derived from a cell relaxed with GGA+U, using copper Kα.
Peak positions follow from Bragg's law for the DFT cell and can differ from measured ones.

Lattice parameters (Å, degrees): 3.242 3.242 14.952 90.00 90.00 90.00
Space group P4/mmm (No. 123)
Inequivalent atoms, fractional coordinates:
Ca (0.000, 0.000, 0.143) [2 per cell]
Fe (0.000, 0.000, 0.500) [1 per cell]
As (0.000, 0.000, 0.335) [2 per cell]
F (0.000, 0.000, 0.000) [1 per cell]

Main lines, sorted by position (10 to 90 degrees two-theta):
2θ/deg, I/Imax, h k l
27.5, 100, 1 0 0
36.0, 19, 0 0 6
39.3, 37, 1 1 0
41.1, 11, 1 0 5
45.9, 37, 1 0 6
54.4, 22, 1 1 6
56.8, 13, 2 0 0
64.2, 16, 2 1 0
69.1, 12, 2 0 6
75.9, 19, 2 1 6



# 2
The following is a theoretical PXRD pattern of MgVO3. It was derived from a cell relaxed with GGA+U, using copper Kα.
Peak positions follow from Bragg's law for the DFT cell and can differ from measured ones.

Lattice parameters (Å, degrees): 5.336 10.267 5.311 90.00 90.00 90.00
Space group Cmc2_1 (No. 36)
Inequivalent atoms, fractional coordinates:
Mg (0.000, 0.075, 0.000) [4 per cell]
V (0.000, 0.430, 0.996) [4 per cell]
O (0.000, 0.266, 0.987) [4 per cell]
O (0.239, 0.498, 0.247) [8 per cell]

Main lines, sorted by position (10 to 90 degrees two-theta):
2θ/deg, I/Imax, h k l
17.3, 100, 0 2 0
18.7, 28, 1 1 0
25.2, 92, 1 1 1
33.6, 15, 2 0 0
33.8, 14, 0 0 2
=====

Worked solution =
8